"For the time will come when they will not endure sound doctrine; but wanting to have their ears tickled, they will accumulate for themselves teachers in accordance to their own desires, and will turn away their ears from the truth and will turn aside to myths." Northwoods is a ministry dedicated to refreshing Christians and challenging them to search for the truth in Christianity, politics, sociology, and science
"I am the Way, the Truth, and the Life"
Saturday, October 29, 2022
Thursday, October 27, 2022
Bits and Bites > A Little Rapunzel in Dubai; Neanderthal Families of Southern Siberia
Rapunzel Syndrome: Rat-shaped hair ball retrieved from five-year-old
Dubai girl’s intestine
In a rare condition, Indian expat girl used to ‘ingest hair strands when she was a baby’
When KG student Diya Rajesh complained of stomach pain on October 15, her mother Mahalakshmi Rajesh thought her daughter had not yet completely recovered from the viral fever she had suffered three weeks ago following a bout of vomiting, diarrhoea and stomach pain.
The syndrome
Rare in young age
How did Diya get it?
First 'concrete picture' of Neanderthal family revealed by DNA
Researchers focus on multiple Neanderthal remains found in the caves in southern Siberia
'Seem much more human'
Rampant inbreeding
Tuesday, October 25, 2022
European Politics > The New, New Prime Minister of the UK
## Calculated molecules, kept here for reference
+++
Entry 1:
{
  "formula": "C4H12N2O",
  "method": "wB97M-V/def2-TZVPD",
  "max_force_ha_per_bohr": 0.0876,
  "homo_ha": -0.3241,
  "relative_energy_kcal_mol": 47.96,
  "multiplicity": 1,
  "total_charge": 0,
  "gap_ha": 0.35632,
  "e_tot_ev": -9369.1142,
  "smiles": "CNC=O.CCN",
  "symbols": ["C", "N", "C", "O", "H", "H", "H", "H", "H", "C", "C", "N", "H", "H", "H", "H", "H", "H", "H"],
  "positions_angstrom": [[0.647, -0.811, -2.218], [1.328, -0.087, -1.149], [0.807, 1.179, -0.729], [-0.217, 1.677, -1.134], [0.656, -1.878, -1.981], [1.085, -0.601, -3.193], [-0.406, -0.539, -2.264], [2.337, -0.174, -1.155], [1.499, 1.662, -0.018], [-0.500, 0.580, 2.245], [-0.385, -0.478, 1.150], [-1.560, -0.609, 0.301], [0.365, 0.566, 2.910], [-0.618, 1.571, 1.803], [-1.386, 0.417, 2.865], [-0.216, -1.456, 1.624], [0.610, -0.547, 0.377], [-1.634, 0.223, -0.282], [-2.411, -0.695, 0.849]],
  "lowdin_charge": [-0.09, -0.09, -0.35, 0.04, 0.08, 0.08, 0.07, 0.13, 0.14, -0.12, -0.39, -0.02, 0.06, 0.06, 0.07, 0.09, 0.12, 0.04, 0.06]
}

Entry 2:
{
  "formula": "C11H20N2O5",
  "method": "wB97M-V/def2-TZVPD",
  "max_force_ha_per_bohr": 0.0898,
  "homo_ha": -0.3478,
  "relative_energy_kcal_mol": 26.97,
  "multiplicity": 1,
  "total_charge": 0,
  "gap_ha": 0.36335,
  "e_tot_ev": -24949.7458,
  "smiles": "CC[C@H](C)[C@H](N)C(=O)N[C@@H](CCC(=O)O)C(=O)O",
  "symbols": ["C", "C", "C", "C", "C", "N", "C", "O", "N", "C", "C", "C", "C", "O", "O", "C", "O", "O", "H", "H", "H", "H", "H", "H", "H", "H", "H", "H", "H", "H", "H", "H", "H", "H", "H", "H", "H", "H"],
  "positions_angstrom": [[-1.641, -2.430, 2.803], [-1.316, -2.050, 1.367], [-2.355, -1.032, 0.776], [-3.595, -1.855, 0.348], [-1.740, -0.272, -0.377], [-1.211, -1.190, -1.382], [-0.844, 0.798, 0.195], [-1.214, 1.476, 1.166], [0.237, 1.147, -0.571], [1.222, 2.114, -0.231], [2.481, 1.561, 0.556], [3.011, 0.309, -0.121], [3.173, 0.404, -1.587], [4.004, 1.074, -2.197], [2.101, -0.139, -2.189], [1.633, 2.849, -1.391], [1.242, 2.770, -2.532], [2.376, 3.963, -1.054], [-1.486, -1.594, 3.535], [-0.922, -3.278, 3.231], [-2.678, -2.820, 2.943], [-0.276, -1.651, 1.428], [-1.366, -2.903, 0.690], [-2.474, -0.215, 1.567], [-3.249, -2.404, -0.577], [-4.453, -1.219, 0.128], [-3.851, -2.619, 1.070], [-2.558, 0.183, -0.917], [-1.126, -0.715, -2.298], [-0.261, -1.490, -1.142], [0.540, 0.517, -1.366], [0.852, 2.844, 0.428], [3.167, 2.389, 0.692], [1.984, 1.261, 1.553], [2.288, -0.495, 0.081], [3.970, -0.052, 0.276], [2.007, 0.223, -3.093], [2.327, 4.540, -1.806]],
  "lowdin_charge": [-0.13, -0.25, -0.34, -0.06, -0.32, 0.06, -0.40, 0.05, 0.13, -0.25, -0.06, -0.10, -0.51, 0.12, 0.07, -0.48, 0.13, 0.11, 0.08, 0.11, 0.07, 0.11, 0.10, 0.15, 0.09, 0.08, 0.06, 0.16, 0.10, 0.07, 0.12, 0.15, 0.12, 0.15, 0.12, 0.14, 0.15, 0.11]
}

Entry 3:
{
  "formula": "C24H60BN3O2",
  "method": "wB97M-V/def2-TZVPD",
  "max_force_ha_per_bohr": 0.0063,
  "homo_ha": -0.2971,
  "multiplicity": 1,
  "total_charge": 0,
  "gap_ha": 0.31657,
  "e_tot_ev": -35098.3704,
+++
## The piece goes on
The spectacular fall from grace of Liz Truss has re-opened the door for Rishi Sunak to become PM. Is this good news or bad? Is he Deep State's man? The good news is, Suella's back!
Sunak takes over as UK prime minister amid economic crisis
Saturday, October 22, 2022
Ozzone 7-10 > Do we seek only peace and joy from the Lord? These are simply effects, not causes we should seek after. We miss the point!
Covid-19 > Sudden Deaths of Young Canadian Doctors not Causing enough Alarm
Alberta Doctor Calls on Medical Association to Investigate
‘Sudden Deaths’ of ’80 Young Doctors’
‘Misinformation and Conspiracy Theories’
Data Crawl
‘No Autopsies Done’
Thursday, October 20, 2022
Islam - Current Day > IDF Killer shot dead in 2nd attack; Taliban slaughter captives in Panjshir Valley; Iranian athlete sent home for not wearing hijab
Terrorist who murdered female soldier last week is killed in new terror attack
Next to the article, the page also holds calculated molecules.
........
(w)
The following is a DFT calculation (ωB97M-V/def2-TZVPD) of a 2-piece molecular cluster, C9H13NO2 overall.

ORCA input file:
```
! RIJCOSX wB97M-V def2-TZVPD def2/J DEFGRID3
* xyz 0 1
C 3.717 0.699 0.751
C 2.217 0.460 0.850
C 1.306 0.979 -0.044
C -0.063 1.001 0.226
C -0.532 0.399 1.381
O -1.847 0.631 1.770
C 0.371 -0.090 2.320
C 1.720 -0.130 2.025
H 3.959 0.950 -0.276
H 4.264 -0.171 1.080
H 3.893 1.599 1.340
H 1.677 1.438 -0.944
H -0.733 1.638 -0.336
H -2.458 0.032 1.330
H 0.031 -0.598 3.212
H 2.381 -0.719 2.637
C -2.400 -0.004 -2.564
C -2.480 -1.452 -2.083
N -1.666 -1.696 -1.003
O -3.179 -2.316 -2.563
H -3.043 0.116 -3.430
H -1.360 0.168 -2.826
H -2.742 0.635 -1.756
H -1.773 -2.620 -0.633
H -1.260 -0.950 -0.462
*
```

The HOMO energy is -9.2 eV. The value obtained for the HOMO-LUMO gap is 9.851 eV.

***

(x)
The following is a DFT calculation (ωB97M-V/def2-TZVPD) of one molecule with the formula C9H13NO2.

ORCA input file:
```
! RIJCOSX wB97M-V def2-TZVPD def2/J DEFGRID3
* xyz 0 1
C 0.692 -0.737 0.538
C 1.838 1.079 -0.358
C 0.387 1.374 -0.625
C -2.731 0.473 0.462
C -2.617 -0.734 -0.462
C -1.350 0.532 1.107
C -1.205 -0.632 -1.044
C -0.361 0.175 -0.023
C 3.171 -0.752 0.674
N 1.881 -0.203 0.253
O 3.871 -1.481 -0.295
O 2.802 1.764 -0.548
H 0.117 2.323 -0.162
H 0.243 1.483 -1.702
H -2.917 1.380 -0.116
H -3.524 0.363 1.199
H -2.716 -1.650 0.119
H -3.378 -0.739 -1.242
H -1.126 1.499 1.560
H -1.275 -0.233 1.881
H -0.770 -1.620 -1.204
H -1.221 -0.115 -2.004
H 2.981 -1.356 1.570
H 3.817 0.100 0.915
H 3.392 -2.294 -0.494
*
```

The HOMO energy is -8.7 eV. The value obtained for the HOMO-LUMO gap is 9.296 eV.

***

(y)
The following is a DFT calculation (ωB97M-V/def2-TZVPD) of a 2-piece molecular cluster, C9H13NO2 overall.

ORCA input file:
```
! RIJCOSX wB97M-V def2-TZVPD def2/J DEFGRID3
* xyz 0 1
C 1.010 -2.138 0.684
C 0.211 -0.926 1.114
C 0.689 0.073 1.951
C -0.099 1.076 2.499
C -1.415 1.198 2.075
O -2.213 2.193 2.561
C -1.904 0.278 1.166
C -1.149 -0.826 0.800
H 0.728 -2.313 -0.350
H 0.651 -3.027 1.205
H 2.055 -1.930 0.812
H 1.732 0.034 2.253
H 0.335 1.703 3.267
H -1.669 2.979 2.678
H -2.951 0.289 0.889
H -1.631 -1.659 0.293
C -0.278 0.904 -2.595
C 1.089 0.497 -3.079
N 1.562 -0.647 -2.503
O 1.649 1.056 -3.998
H -0.886 0.092 -2.209
H -0.837 1.321 -3.431
H -0.237 1.651 -1.801
H 2.501 -1.000 -2.615
H 1.057 -0.878 -1.664
*
```

The HOMO energy is -8.9 eV. The value obtained for the HOMO-LUMO gap is 9.537 eV.

***

(y) wins, 0.124 eV ahead of the next structure.

***

(w)
The following is a DFT calculation (ωB97M-V/def2-TZVPD) of a 2-piece molecular cluster, C2H7N overall.

ORCA input file:
```
! RIJCOSX wB97M-V def2-TZVPD def2/J DEFGRID3
* xyz 0 1
C -2.407 3.569 -1.460
N -1.286 4.145 -1.362
H -3.222 3.868 -0.806
H -2.626 2.786 -2.182
H -0.636 3.758 -2.049
C 2.027 -3.632 1.587
H 2.525 -4.595 1.680
H 1.826 -3.479 0.523
H 2.684 -2.821 1.899
H 1.114 -3.598 2.170
*
```

The HOMO energy is -10.3 eV. The value obtained for the HOMO-LUMO gap is 11.522 eV.

***
........
The calculated molecules stop here.
Taliban killed captives in restive Afghan province
Iranian athlete Elnaz Rekabi sent home, fate uncertain
after competing without hijab
'It's about human rights and women's rights'
Apology in Instagram post
Hundreds killed in protests
Big Pharma - Cough Syrups Laced with antifreeze kill 165 children in Indonesia and the Gambia
Indonesia bans all syrup medicines after 99 child deaths
The country's Food and Drug Monitoring Agency said that the suspended medicines were found to contain an ingredient -- ethylene glycol -- in an amount that "exceeds the safe limit."
The Gambia
Wednesday, October 19, 2022
Corruption is Everywhere > Suu Kyi's sentence up to 26 years now
Myanmar junta extends jail terms for Suu Kyi, Japanese journalist
- 'Sham trial' -
Covid-19 > Boston U finds way to make Covid-19 much more deadly
More lethal strain of COVID created in Boston University lab
Tuesday, October 11, 2022
# What comes next are molecular data, not part of the page
+++
(1)
Here is C30H32F9IrN3O6PS2 as an isolated structure from the OMol25 dataset. Energies are from the ωB97M-V functional and the def2-TZVPD basis.

The spin multiplicity is 5. The value obtained for the total energy is -106640.7084 eV. As for the frontier orbital gap (alpha / beta): 7.506 / 6.134 eV.

XYZ file:
```
84
Properties=species:S:1:pos:R:3:forces:R:3:lowdin_charge:R:1
Ir -0.311089 0.996233 -0.576811 -0.09 0.26 -0.03 1.31
C 3.943678 -1.890084 3.475840 0.04 0.09 0.06 -0.06
O 2.996551 -2.311173 2.513515 -0.06 0.00 -0.06 -0.07
C 3.232842 -3.466843 1.850733 -0.14 -0.04 -0.02 -0.24
C 4.346826 -4.271706 2.045168 0.13 0.01 0.07 -0.02
C 4.469667 -5.475669 1.364691 -0.06 0.01 -0.04 -0.08
C 3.479476 -5.889764 0.491358 0.03 -0.08 0.02 -0.09
C 2.374482 -5.079258 0.274946 0.10 0.05 -0.05 -0.01
C 2.250468 -3.859866 0.923145 0.12 0.02 0.00 -0.17
N 1.102403 -3.064091 0.712845 -0.17 -0.08 0.10 0.17
C 1.077591 -1.772597 0.272060 -0.12 0.13 0.11 -0.33
N 2.262658 -1.255029 -0.093066 0.10 -0.18 0.04 0.17
C 2.640497 0.030016 -0.498911 -0.15 0.09 -0.06 -0.18
C 1.769447 1.026942 -0.934068 -0.65 0.15 0.13 -0.26
C 2.336794 2.232029 -1.379980 0.08 0.08 -0.10 -0.15
C 3.698697 2.440049 -1.368484 -0.04 0.04 -0.06 -0.08
C 4.559819 1.443894 -0.913760 0.05 0.00 0.00 -0.02
C 4.034333 0.243793 -0.485453 -0.08 0.07 -0.04 -0.22
O 4.778969 -0.811121 -0.029837 -0.02 -0.03 0.01 -0.11
C 6.181180 -0.643726 0.027133 0.09 -0.07 -0.01 -0.07
N -0.025885 -1.072748 0.256588 -0.37 0.65 -0.55 0.01
C -1.320413 -1.611550 0.466483 -0.19 -0.45 0.26 -0.23
C -2.168423 -0.986400 1.379129 0.31 -0.10 0.05 -0.04
C -3.475775 -1.400967 1.551151 -0.05 0.03 -0.05 -0.08
C -3.963105 -2.456227 0.799468 -0.01 0.05 0.07 -0.07
C -3.147610 -3.085445 -0.126748 -0.13 -0.14 -0.02 -0.03
C -1.838403 -2.669442 -0.306235 0.14 0.22 0.00 -0.25
O -0.994811 -3.231915 -1.223685 0.12 0.11 0.08 -0.11
C -1.573054 -3.982810 -2.279481 -0.04 -0.09 -0.11 -0.07
H 3.539022 -0.978847 3.907765 0.02 -0.01 0.00 0.10
H 4.909939 -1.670285 3.014036 -0.01 -0.02 -0.02 0.09
H 4.073411 -2.637710 4.262510 -0.01 0.00 -0.02 0.10
H 5.114792 -3.976433 2.746766 -0.03 0.00 -0.02 0.11
H 5.341911 -6.092869 1.533377 0.00 0.00 0.00 0.11
H 3.568630 -6.834206 -0.027659 -0.02 0.00 0.00 0.10
H 1.595821 -5.389003 -0.411521 0.00 0.06 -0.03 0.12
H 0.240529 -3.565405 0.582535 -0.09 -0.01 0.02 0.13
H 3.055231 -1.865710 0.030795 0.02 -0.07 0.03 0.13
H 1.691737 3.018736 -1.750399 -0.04 0.00 0.08 0.09
H 4.111274 3.378793 -1.714224 -0.01 0.00 0.00 0.11
H 5.625983 1.621803 -0.908101 -0.02 -0.04 0.02 0.10
H 6.579605 -1.580212 0.410504 0.00 0.02 0.01 0.09
H 6.454408 0.175666 0.697469 -0.01 -0.02 -0.01 0.10
H 6.603375 -0.457460 -0.963516 -0.03 0.01 0.00 0.10
H -1.771318 -0.156877 1.951317 -0.06 0.07 -0.02 0.09
H -4.115797 -0.875778 2.244350 -0.01 0.02 0.05 0.10
H -4.986768 -2.784598 0.920303 -0.01 0.00 -0.02 0.11
H -3.551457 -3.886766 -0.731402 0.05 0.01 0.02 0.11
H -0.786331 -4.106481 -3.020236 0.00 -0.04 0.02 0.10
+++
# So much for the molecular data
American Politics > Tulsi Gabbard Quits the Democratic Party
Tulsi Gabbard abandons the Democratic Party
In 1 minute and 19 seconds on Twitter, Tulsi Gabbard announced that she is
abandoning the Democratic Party
Economics - IMF predictions for 2023 - They're not pretty
IMF downgrades global economy outlook for 2023
Measures made around the world to curb post-pandemic inflation will make 2023
'feel like a recession'
Economies stalling
Monday, October 10, 2022
Islam - Byzantium - Vikings - This Day in History

A full 80 % of what anyone needs in a bodyguard is intimidation. Protecting a VIP is easy when no one is attacking them. If you can intimidate any potential assassins from trying to kill you, then you might live a long, full life. The other 20% is having the combat skills to actually fight off anyone who does try to kill you, combined with the loyalty to not actually kill you themselves. With this in mind, the emperors of the Eastern Roman Empire (or later, the Byzantine Empire) found the perfect imperial guard by recruiting men from the conquerors of a state to the north: the Kievan Rus. Called Varangians – or “Men of Oath” – the mercenaries who protected the emperor for centuries were descended from Viking warriors.
The soldiers we call Varangians today came south from Scandinavia in the 9th Century to conquer and rule the Kievan Rus, an area that today encompasses parts of Belarus, Russia, and Ukraine. Despite having settled far from the coastline, the Viking warriors never lost their taste for raiding and plundering. They soon set their eyes on a jewel of a city to the south: Constantinople.

Unfortunately for the raiders, the city’s Theodosian Walls pretty much made any simple raid on the city useless. Even armies with advanced siege technology found it difficult to attack. The Vikings began to raid the countryside instead. The wealthy Byzantines, realizing that all the raiders wanted was to loot and plunder decided to buy them off… and they paid very well.
They paid so well, in fact, that it earned the empire the Vikings’ loyalty. Once they became an ally, they were allowed into the city of Constantinople itself and quickly fell in love with its beauty and grandeur. They began to call it “Miklagard,” the Grand City. As for the promise of adventure, battle and even more looting, the Byzantines had no shortage of enemies.
Once the Vikings’ boats were in the seas surrounding the Byzantine Empire, they went to work. The Vikings helped the empire conquer Crete in 945, then took the fight to the Arabs in the 950s. They were soon the elite warriors of the Byzantine Empire and were called upon for the toughest military adventures the empire had to offer.
When Byzantine General Bardas Phokas rebelled against Emperor Basil II in 988, The Kievan Rus sent 6,000 Norse warriors to Constantinople. When they arrived to meet Phokas in combat, his forces scrambled, the general himself was said to have a stroke, and the Vikings hunted down the rebels and hacked them to pieces.

In the wake of this victory, Basil formed the Varangian Guard, an Imperial Bodyguard composed of just Norse warriors sworn to protect the Byzantine Emperor at any cost. Since they were the emperor’s personal guard, they rarely left the city, but you can’t keep a good Viking down. If trouble on the frontiers of the empire became more than the regular army could handle, the Varangians were sent in to deal with the situation for good.
When Norman invaders threatened southern Italy in 1018, the Varangians were sent to remind them who controlled the area. When Arabs threatened Sicily, the Varangians kicked them off the island. The same went for Bulgarians who invaded the Byzantine-controlled area of Thrace. When everything was bleak for the Byzantines in combat, the Varangians refused to surrender.
Even when Constantinople itself fell to the Ottoman armies of Mehmed the II in 1453, the Varangians fought to the last man to protect the emperor. The Varangian Guard fell alongside the fall of the Byzantine Empire and its final emperor.
Notice there is never any mention of the thousands of women and girls who were raped and murdered by all sides in these endless wars.